The Big Three and a Lesson About Fixing Things Wrong

Robert Heinlein, L. Sprague de Camp, and Isaac Asimov, Philadelphia Navy Yard, 1944. Heinlein and Asimov were two of The Big Three. Who was the third?

Robert Heinlein, L. Sprague de Camp, and Isaac Asimov, Philadelphia Navy Yard, 1944. Heinlein and Asimov were two of The Big Three. Who was the third?

Last weekend, Vox Day set out to score a point for Infogalactic over the Wikipedia. Infogalactic is the rival online encyclopedia Day launched in October.

…And finally, another example of how Infogalactic is fundamentally more accurate than Wikipedia due to the latter’s insistence on unreliable Reliable Sources.

Robert Heinlein on Wikipedia

Heinlein became one of the first science-fiction writers to break into mainstream magazines such as The Saturday Evening Post in the late 1940s. He was one of the best-selling science-fiction novelists for many decades, and he, Isaac Asimov, and Arthur C. Clarke are often considered the “Big Three” of science fiction authors.[5][6]

Robert Heinlein on Infogalactic

He was one of the first science fiction writers to break into mainstream magazines such as The Saturday Evening Post in the late 1940s. He was one of the best-selling science fiction novelists for many decades, and he, Isaac Asimov, and Arthur C. Clarke are often erroneously considered to be the “Big Three” of science fiction authors.[5][6]. The original “Big Three” were actually Heinlein, Asimov, and A.E. van Vogt.[7]

This is what winning the cultural war looks like. Getting the facts straight one at a time.

Since Vox Day’s post, an Infogalactic editor has revised the Heinlein entry to phrase the correction even more emphatically:

He was one of the best-selling science fiction novelists for many decades, and he, Isaac Asimov, and Arthur C. Clarke are often considered to be the “Big Three” of science fiction authors[5][6], however the inclusion of Clarke is erroneous. The original “Big Three” were actually Heinlein, Asimov, and A.E. van Vogt.[7]

(Attached: data records)
- - -
DFT (r²SCAN) results for a geometry-optimized CsSmSiS4 structure.

Structure (POSCAR):
```
CsSmSiS4
1.0
-5.9477 2.4407 -0.5049
-1.5379 -4.7032 -4.6195
-5.5880 -10.9303 12.9885
Cs Sm Si S
4 4 4 16
direct
0.0089 0.5076 0.4674
0.4911 0.4924 0.9674
0.9911 0.0076 0.0326
0.5089 0.9924 0.5326
0.2076 0.5201 0.7281
0.7076 0.9799 0.2719
0.7924 0.0201 0.7719
0.2924 0.4799 0.2281
0.7894 0.5159 0.1666
0.2894 0.9841 0.8334
0.7106 0.4841 0.6666
0.2106 0.0159 0.3334
0.5491 0.9882 0.9042
0.6082 0.2540 0.1545
0.1151 0.0657 0.2214
0.4282 0.2456 0.3546
0.3849 0.9343 0.7214
0.3918 0.7540 0.3455
0.8918 0.7460 0.6545
0.6151 0.4343 0.7786
0.9509 0.0118 0.4042
0.5718 0.7456 0.1454
0.0491 0.5118 0.0958
0.0718 0.7544 0.8546
0.1082 0.2460 0.8455
0.9282 0.2544 0.6454
0.4509 0.4882 0.5958
0.8849 0.5657 0.2786
```

Results
energy of formation	-1.6661	eV per atom
magnetization	0.0	μB per cell
- - -

Proving that you’re never too old to learn, while I knew Heinlein, Asimov and van Vogt were Campbell’s top writers in the 1940s, I couldn’t recall ever hearing them referred to as the Big Three, whereas I had often heard that term applied to the trio named by the Wikipedia.  (Michael Moorcock wrote that Clarke was one of the Big Three in an article published just this month.) Was the Heinlein/Asimov/Clarke identification really “erroneous”? I have to admit that seeing Infogalactic’s cited source was a John C. Wright essay from 2014 made me want to check further before accepting the information.

Google led me to the Fancyclopedia (1944). Originally, “the Big Three” was a label 1930s fans applied to the three dominant prozines. Obviously at some later point they also endowed it on three sf writers. When did that happen, and who were the writers?

Isaac Asimov supplies the answer in I. Asimov: A Memoir (1994):

**Calculated crystals from another source follow:**
~~~
1.
A plane-wave DFT calculation with PBE was carried out for a relaxed LiEr2Ru crystal.

Space group: Fm-3m, No. 225

Cell: 4.865 4.865 4.865 Å, 60.00 60.00 60.00°
Atoms (fractional coordinates):
1 Li 0.000 0.000 0.000
2 Er 0.250 0.250 0.250
3 Er 0.750 0.750 0.750
4 Ru 0.500 0.500 0.500

=====

2.
A plane-wave DFT calculation with PBE was carried out for a relaxed Rb2CuH12Se2O14 crystal.

Space group: P2_1/c, No. 14

Cell: 6.411 12.769 9.489 Å, 90.00 104.22 90.00°
Atoms (fractional coordinates):
1 Rb 0.154 0.151 0.376
2 Rb 0.154 0.349 0.876
3 Rb 0.846 0.651 0.124
4 Rb 0.846 0.849 0.624
5 Cu 0.500 0.000 0.000
6 Cu 0.500 0.500 0.500
7 H 0.180 0.558 0.599
8 H 0.180 0.942 0.099
9 H 0.190 0.089 0.809
10 H 0.190 0.411 0.309
11 H 0.191 0.635 0.468
12 H 0.191 0.865 0.968
13 H 0.414 0.124 0.773
14 H 0.414 0.376 0.273
15 H 0.426 0.601 0.213
16 H 0.426 0.899 0.713
17 H 0.496 0.188 0.168
18 H 0.496 0.312 0.668
19 H 0.504 0.688 0.332
20 H 0.504 0.812 0.832
21 H 0.574 0.101 0.287
22 H 0.574 0.399 0.787
23 H 0.586 0.624 0.727
24 H 0.586 0.876 0.227
25 H 0.809 0.135 0.032
26 H 0.809 0.365 0.532
27 H 0.810 0.589 0.691
28 H 0.810 0.911 0.191
29 H 0.820 0.058 0.901
30 H 0.820 0.442 0.401
31 Se 0.230 0.641 0.891
32 Se 0.230 0.859 0.391
33 Se 0.770 0.141 0.609
34 Se 0.770 0.359 0.109
35 O 0.086 0.749 0.903
36 O 0.086 0.751 0.403
37 O 0.090 0.569 0.751
38 O 0.090 0.931 0.251
39 O 0.219 0.561 0.503
40 O 0.219 0.939 0.003
41 O 0.260 0.570 0.042
42 O 0.260 0.930 0.542
43 O 0.342 0.110 0.853
44 O 0.342 0.390 0.353
45 O 0.467 0.115 0.193
46 O 0.467 0.385 0.693
47 O 0.470 0.675 0.863
48 O 0.470 0.825 0.363
49 O 0.530 0.175 0.637
50 O 0.530 0.325 0.137
51 O 0.533 0.615 0.307
52 O 0.533 0.885 0.807
53 O 0.658 0.610 0.647
54 O 0.658 0.890 0.147
55 O 0.740 0.070 0.458
56 O 0.740 0.430 0.958
57 O 0.781 0.061 0.997
58 O 0.781 0.439 0.497
59 O 0.910 0.069 0.749
60 O 0.910 0.431 0.249
61 O 0.914 0.249 0.597
62 O 0.914 0.251 0.097

=====

3.
A plane-wave DFT calculation with PBE was carried out for a relaxed CeCrGe3 crystal.

Space group: P6_3/mmc, No. 194

Cell: 6.110 6.110 5.683 Å, 90.00 90.00 120.00°
Atoms (fractional coordinates):
1 Ce 0.333 0.667 0.250
2 Ce 0.667 0.333 0.750
3 Cr 0.000 0.000 0.000
4 Cr 0.000 0.000 0.500
5 Ge 0.192 0.383 0.750
6 Ge 0.192 0.808 0.750
7 Ge 0.383 0.192 0.250
8 Ge 0.617 0.808 0.750
9 Ge 0.808 0.192 0.250
10 Ge 0.808 0.617 0.250

=====

4.
A plane-wave DFT calculation with PBE was carried out for a relaxed SnN2F6 crystal.

Space group: Fm-3m, No. 225

Cell: 5.721 5.721 5.721 Å, 60.00 60.00 60.00°
Atoms (fractional coordinates):
1 Sn 0.000 0.000 0.000
2 N 0.250 0.250 0.250
3 N 0.750 0.750 0.750
4 F 0.247 0.247 0.753
5 F 0.247 0.753 0.247
6 F 0.247 0.753 0.753
7 F 0.753 0.247 0.247
8 F 0.753 0.247 0.753
9 F 0.753 0.753 0.247

=====

5.
A plane-wave DFT calculation with PBE was carried out for a relaxed TaTi3 crystal.

Space group: Fm-3m, No. 225

Cell: 4.620 4.620 4.620 Å, 60.00 60.00 60.00°
Atoms (fractional coordinates):
1 Ta 0.000 0.000 0.000
~~~

There was no question that by 1949 I was widely recognized as a major science fiction writer. Some felt I had joined Robert Heinlein and A.E.  van Vogt as the three-legged stool on which science fiction now rested.

As it happened, A.E. van Vogt virtually ceased writing in 1950, perhaps because he grew increasingly interested in Hubbard’s dianetics. In 1946, however, a British writer, Arthur C. Clarke, began to write for ASF, and he, like Heinlein and van Vogt (but unlike me), was an instant hit.

By 1949, the first whisper of Heinlein, Clarke, and Asimov as “the Big Three” began to be heard, This kept up for some forty years, for we all stayed alive for decades and all remained in the science fiction field.

Therefore, John C. Wright (in “The Big Three of Science Fiction” from Transhuman and Subhuman: Essays on Science Fiction and Awful Truth) correctly stated that Heinlein, Asimov and van Vogt were “the three major writers of Campbell’s Golden Age.” (The Science Fiction Encyclopedia also calls them “the big three”.)

But Infogalactic, unfortunately motivated by a need to get in a jab at the Wikipedia, has oversold Wright’s argument and missed a chance to be really accurate. The truth is that both trios were “the Big Three,” each in their own era.

Fancy Free

Jim Caughran, who has tried to bring the Fancyclopedia to the web and make it a living, wiki-like document, admitted his frustration with the project in a widely-broadcast e-mail titled “Fancyclopedia free to good home” –

I’ve not had the energy to do a good job with Fancyclopedia. I’ve never been good at asking people for contributions to fanzines or to Fancyclopedia, nor am I knowledgeable enough to write on my own. I had hoped it would spontaneously take off, contributors flocking to the site to write their version of history. Silly me.

Still, the site has its good points. I was proud of the reformatting and cross-referencing of F2. There have been updates to several items. It’s easily available and potentially valuable to fan historians.

The cost is fairly small, but I don’t see the point of paying it in perpetuity for a static site.

If someone is willing to take over, or if someone has ideas of how to get it working, let me know.
Off the top ideas:
    a committee? (would this doom it?)
    Subsume it into Wikipedia?

Jim Caughran can be contacted at fancyclopedia (at) gmail (dot) com.

Jim deserves thanks, both for his work to date and for publicly raising the issue instead of abandoning the project. And if his off-the-top ideas for getting it working bear fruit that will be great, though I will be surprised if that happens. A committee’s failure to significantly advance Fancyclopedia 3 is one reason the project passed into the current hands. Then, the Wikipedia is administered by a tangled fandom of its own that I predict won’t regard most of the material as significant enough to warrant inclusion. They also don’t tend to accept articles without citations, or citing little-known blogs and websites (much less citing dead links at

Let’s remember what was behind the success of the first two Fancyclopedias – a fan passionately dedicated to writing and completing the project, Jack Speer on the first Fancyclopedia and Richard Eney on the update. Over the past 25 years small groups of fans have tried to devise processes to compensate for there being no volunteer wanting to take that level of responsibility for the task. Experience has shown that you cannot get the work of a lion out of a pack of well-intentioned part-time volunteers.

I suspect that level of passion is needed for more than one reason at this point. There’s the mass of writing that needs to be done, of course. Passion will also be needed to overcome any doubts as to why such a project is still a good investment of time. How many people will use an online Fancyclopedia? Questions constantly arise that experienced fans might answer by opening one of Harry Warner’s histories, but they often don’t do it.

On the other hand, justifications like audience size were irrelevant to Speer or Eney (although I’m sure they felt the membership of FAPA made up in quality what it lacked in quantity.) The truth about most fannish undertakings is that nobody really needs them, fans simply insist on doing them. (Consider this blog, for example…) That kind of self-determined fanwriter is what the project requires if it’s ever going to be done.

Here the article breaks off for data records >
=====
A relaxed Ca8Mn7CrO24 crystal. Source: the Materials Project, functional GGA+U.

Unit cell a=10.6704 b=15.1386 c=10.8149 alpha=90.00 beta=90.02 gamma=90.00
With the nearest neighbours (Å) after each atom.
Sites, in units of the cell vectors:
Ca: 0.0000 0.0000 0.0000  6 O 2.33-2.57
Ca: 0.0003 0.0000 0.4984  6 O 2.33-2.57
Ca: 0.0004 0.5000 0.9993  6 O 2.32-2.57
Ca: 0.0007 0.5000 0.4995  6 O 2.32-2.58
Ca: 0.0089 0.2503 0.4546  6 O 2.32-2.58
Ca: 0.0090 0.2502 0.9553  6 O 2.32-2.57
Ca: 0.0089 0.7497 0.4546  6 O 2.32-2.58
Ca: 0.0090 0.7498 0.9553  6 O 2.32-2.57
Ca: 0.2505 0.2500 0.2044  6 O 2.32-2.57
Ca: 0.2505 0.7500 0.2044  6 O 2.32-2.57
Ca: 0.2508 0.2504 0.7053  6 O 2.32-2.58
Ca: 0.2508 0.7496 0.7053  6 O 2.32-2.58
Ca: 0.2594 0.0000 0.2485  6 O 2.32-2.57
Ca: 0.2591 0.5000 0.2496  6 O 2.32-2.57
Ca: 0.2590 0.5000 0.7492  6 O 2.32-2.58
Ca: 0.2597 0.0000 0.7497  6 O 2.34-2.57
Ca: 0.5003 0.5000 0.4994  6 O 2.32-2.57
Ca: 0.5005 0.5000 0.9994  6 O 2.32-2.57
Ca: 0.5007 0.0000 0.9996  6 O 2.32-2.58
Ca: 0.5008 0.0000 0.4990  6 O 2.32-2.59
Ca: 0.5094 0.2502 0.4548  6 O 2.33-2.57
Ca: 0.5094 0.2499 0.9549  6 O 2.32-2.58
Ca: 0.5094 0.7498 0.4548  6 O 2.33-2.57
Ca: 0.5094 0.7501 0.9549  6 O 2.32-2.58
Ca: 0.7503 0.2498 0.2047  6 O 2.33-2.57
Ca: 0.7501 0.2502 0.7051  6 O 2.33-2.58
Ca: 0.7503 0.7502 0.2047  6 O 2.33-2.57
Ca: 0.7501 0.7498 0.7051  6 O 2.33-2.58
Ca: 0.7591 0.0000 0.2491  6 O 2.32-2.58
Ca: 0.7586 0.0000 0.7495  6 O 2.32-2.58
Ca: 0.7592 0.5000 0.2494  6 O 2.32-2.57
Ca: 0.7593 0.5000 0.7495  6 O 2.32-2.57
Mn: 0.0049 0.1251 0.2268  6 O 1.94-1.95
Mn: 0.0048 0.3750 0.2271  6 O 1.94-1.96
Mn: 0.0046 0.3751 0.7272  6 O 1.94-1.95
Mn: 0.0048 0.6250 0.2271  6 O 1.94-1.96
Mn: 0.0046 0.6249 0.7272  6 O 1.94-1.95
Mn: 0.0049 0.8749 0.2268  6 O 1.94-1.95
Mn: 0.2551 0.1250 0.9769  6 O 1.94-1.96
Mn: 0.2549 0.3752 0.4772  6 O 1.94-1.96
Mn: 0.2549 0.3750 0.9772  6 O 1.94-1.95
Mn: 0.2549 0.6248 0.4772  6 O 1.94-1.96
Mn: 0.2549 0.6250 0.9772  6 O 1.94-1.95
Mn: 0.2551 0.8750 0.9769  6 O 1.94-1.96
Mn: 0.5045 0.1248 0.7272  6 O 1.94-1.96
Mn: 0.5045 0.8752 0.7272  6 O 1.94-1.96
Mn: 0.5050 0.1249 0.2272  6 O 1.94-1.96
Mn: 0.5049 0.3750 0.2271  6 O 1.94-1.95
Mn: 0.5047 0.3750 0.7272  6 O 1.94-1.95
Mn: 0.5049 0.6250 0.2271  6 O 1.94-1.95
Mn: 0.5047 0.6250 0.7272  6 O 1.94-1.95
Mn: 0.5050 0.8751 0.2272  6 O 1.94-1.96
Mn: 0.7545 0.1249 0.4772  6 O 1.94-1.96
Mn: 0.7545 0.8751 0.4772  6 O 1.94-1.96
Mn: 0.7550 0.1248 0.9772  6 O 1.94-1.96
Mn: 0.7548 0.3750 0.4771  6 O 1.94-1.95
Mn: 0.7548 0.3749 0.9771  6 O 1.94-1.95
Mn: 0.7548 0.6250 0.4771  6 O 1.94-1.95
Mn: 0.7548 0.6251 0.9771  6 O 1.94-1.95
Mn: 0.7550 0.8752 0.9772  6 O 1.94-1.96
Cr: 0.0047 0.1253 0.7268  6 O 1.93-1.95
Cr: 0.0047 0.8747 0.7268  6 O 1.93-1.95
Cr: 0.2542 0.1254 0.4764  6 O 1.93-1.96
Cr: 0.2542 0.8746 0.4764  6 O 1.93-1.96
O: 0.0423 0.0000 0.7174  2 Cr 1.94
O: 0.0443 0.0000 0.2179  2 Mn 1.94
O: 0.0439 0.5000 0.2175  2 Mn 1.94
O: 0.0439 0.5000 0.7176  2 Mn 1.94
O: 0.1078 0.1453 0.0807  2 Mn 1.95-1.96
=====
Back to the article >

Postscript: Should a group rather than an auteur continue the Fancyclopedia project anyway, I offer them this advice.

It’s impossible to attract fanwriters by telling them you plan to treat them as unskilled laborers. I wonder how many people turned aside from the project after reading this warning:

Unlike Wikipedia, Fancyclopedia is to be an edited encyclopedia. Your editors will impose their own iron whim on content, style and presentation.

Also, it is necessary to overcome, not be subservient to, the form in which the project is cast. Fans are less interested in articles that deliver data than they are in stories. I think the underlying appeal of the faanish dictionaries produced by Elst Weinstein and rich brown was how many of their definitions conveyed a story about an individual, event or controversy. The online Fancyclopedia needs to draw on the same energy source.

[Thanks to Andrew Porter for the story.]

Jack Speer (1920-2008)

Jack Speer at Bubonicon 36 (2006)

“First Fandom member and writer of the Fancylopedia Jack Speer passed away this morning [June 28],” writes Patricia Rogers.

Speer’s famous Fancyclopedia, published in 1944, formalized definitions for hundreds of terms in use by fans.

Prior to that, in 1939, he wrote the first history of science fiction fandom, called Up To Now. It was very hard to find copies until just last month when Robert Lichtman recreated it as a PDF edition and posted it at eFanzines. In this zine, Speer first articulated the idea of Numbered Fandoms (fannish historical epochs), which ever since has occupied many a fan’s idle hours.

Speer also innovated several indispensable bits of faanish typography, including the quasi-quote mark and the interlineation. He contributed to faanish cosmology by inventing FooFoo, the ghod of mimeography, fearsome foe of Ghu.

According to Don Fitch, Speer was diagnosed as terminal some weeks ago. Still, Jack had managed to attend Corflu Silver in April, making his way around with the aid of a portable oxygen supply, attentive to everything going on. The con’s classic moment was when fellow eo-fan Art Widner serenaded Jack with the first-ever filksong, written by Jack himself.

Although the term “filksong” had yet to be invented, several of these songs were sung at the 1940 Worldcon. Jack created them by setting new lyrics with a science fictional theme to familiar tunes. A snippet of one goes:

We’ll build a tempo-ship
And we’ll take a little trip,
And watch a million years go by.

In 1995, Speer received the First Fandom Hall of Fame Award. In 2004, he was Fan Guest of Honor at Noreascon 4. His collection, Fancestral Voices, was published by NESFA Press for the occasion.

Having spent decades thinking of Speer as a distinguished founding father of fandom, as he certainly was, I’ve tended to overlook that he was having a helluva lot of fun while making history. This point is brought home by Harry Warner’s anecdote about Speer at the 1947 Worldcon in All Our Yesterdays:

From time to time that Saturday night, the happy fans were vaguely aware of the existence of loud, intermittent noises. Several Philadelphians explained them away as a local phenomenon that occurred when sewer gas caused manhole lids to lift violently in a sort of municipal burping. However, the real facts were not at all like that. During a late drinking session…Speer had suddenly remembered the existence of fireworks in the hip pocket of the Quintessence of FooFoo, his current auto…. Several roman candles later, policemen in a squad car gave [Speer and other fans] a warning about discharging fireworks within the city limits… [Afterwards], Speer and Davis seem to have taken up strategic posts on upper fire escapes [of the con hotel]… Firecrackers and skyrockets were alternated to provide variety… When the police returned… they paid $5.00 apiece at the 21st District Station for disturbing the peace. The investment was at least partly justified because the pyrotechnics had helped Willy Ley find his way to the hotel.

A later e-mail from Patricia Rogers concluded with this request: “I talked with Ruth [Jack’s wife] for around an hour this evening. The memorial will probably be on July 8 or 9.  She has asked me to speak about Jack and his role in SF/Fandom at the service. I know a fair amount but if you or anyone you can think of has anything they would like to add – I would be happy to – just let me know.”

Fancyclopedia Update

Jim Caughran, announcing the latest additions to the online Fancyclopedia, sends links to Jean Weber’s updates of the articles about Fan Funds, GUFF and DUFF.

Weber’s list of a fund winner’s duties includes:

Fund winners become administrators of the fund until the next winner returns from a trip. Fund winners are expected to publish a trip report.

Well, I always do expect them to write a report, and some funds enjoy a good track record when it comes to that. A surprising number of TAFF winners have not felt obligated in that way. Fortunately, there is Chris Garcia’s good example to point out (donation required for access to the full online report; individual chapters have been published in several recent fanzines that are freely available on